- - -
Record 1
DFT (GGA-PBE) results for an optimized crystal structure of CaCr2Cd.

Lattice parameters (Å, degrees): 2.7036 2.7036 9.4699 90.00 90.00 92.88
Last column: nearest neighbours and their distance in Å.
Atoms (fractional coordinates):
Ca1 0.0000 0.0000 0.0000  4 Ca 2.70
Cr1 0.5000 0.5000 0.2668  4 Cr 2.70, 4 Cd 2.89-2.95
Cr2 0.5000 0.5000 0.7332  4 Cr 2.70, 4 Cd 2.89-2.95
Cd1 0.0000 0.0000 0.5000  4 Cd 2.70, 8 Cr 2.89-2.95

energy of formation = 0.994 eV per atom
calculated volume = 69 Å³ per cell
DOS(E_F) = 3.0 states/eV/f.u.

***

Record 2
DFT (GGA-PBE) results for an optimized crystal structure of CaCr2Cd.

Lattice parameters (Å, degrees): 5.3151 5.3151 5.3151 135.60 124.89 73.35
Last column: nearest neighbours and their distance in Å.
Atoms (fractional coordinates):
Ca1 0.0000 0.0000 0.0000  8 Cr 3.07-3.20, 4 Cd 3.10-3.11
Cr1 0.5510 0.5510 0.0000  2 Cr 2.51
Cr2 0.7283 0.2283 0.5000  2 Cr 2.51
Cd1 0.2792 0.7792 0.5000  8 Cr 3.07-3.20, 4 Ca 3.10-3.11

energy of formation = 0.420 eV per atom
calculated volume = 84 Å³ per cell
DOS(E_F) = 3.5 states/eV/f.u.

***

Record 3
DFT (GGA-PBE) results for an optimized crystal structure of CaCr2Cd.

Lattice parameters (Å, degrees): 3.2107 3.2107 7.6542 90.00 90.00 90.00
Last column: nearest neighbours and their distance in Å.
Atoms (fractional coordinates):
Ca1 0.0000 0.0000 0.0000  4 Ca 3.21, 5 Cr 3.23-3.27, 4 Cd 3.34
Cr1 0.0000 0.0000 0.5730  4 Cr 2.47
Cr2 0.5000 0.5000 0.7001  4 Cr 2.47
Cd1 0.5000 0.5000 0.3206  5 Cr 2.91-2.98, 4 Cd 3.21

energy of formation = 0.261 eV per atom
calculated volume = 79 Å³ per cell
DOS(E_F) = 2.8 states/eV/f.u.

***

Record 4
DFT (GGA-PBE) results for an optimized crystal structure of CaCrCd3.

Lattice parameters (Å, degrees): 5.2212 5.2212 5.2212 90.00 90.00 90.00
Last column: nearest neighbours and their distance in Å.
Atoms (fractional coordinates):
Ca1 0.0000 0.0000 0.0000  12 Cd 3.69
Cr1 0.5000 0.5000 0.5000  6 Cd 2.61
Cd1 0.0000 0.5000 0.5000  2 Cr 2.61
Cd2 0.5000 0.0000 0.5000  2 Cr 2.61
Cd3 0.5000 0.5000 0.0000  2 Cr 2.61

energy above the most stable polymorph in this dataset = 0 meV/atom
energy of formation = 0.299 eV per atom
calculated volume = 142 Å³ per cell
DOS(E_F) = 3.7 states/eV/f.u.

***

Record 5
DFT (GGA-PBE) results for an optimized crystal structure of CaCr2Cd.

Lattice parameters (Å, degrees): 4.9896 4.9896 4.9896 60.00 60.00 60.00
Last column: nearest neighbours and their distance in Å.
Atoms (fractional coordinates):
Ca1 0.0000 0.0000 0.0000  4 Cr 3.06, 4 Cd 3.06
Cr1 0.5000 0.5000 0.5000  4 Cd 3.06, 4 Cr 3.06
Cr2 0.7500 0.7500 0.7500  4 Cr 3.06, 4 Ca 3.06
Cd1 0.2500 0.2500 0.2500  4 Cr 3.06, 4 Ca 3.06

energy of formation = 0.642 eV per atom
calculated volume = 88 Å³ per cell
DOS(E_F) = 4.5 states/eV/f.u.

***

Record 6
DFT (GGA-PBE) results for an optimized crystal structure of CaCr2Cd.

Lattice parameters (Å, degrees): 4.5477 4.5477 4.1951 90.00 90.00 90.00
Last column: nearest neighbours and their distance in Å.
Atoms (fractional coordinates):
Ca1 0.0000 0.0000 0.0000  8 Cr 3.09, 4 Cd 3.22
Cr1 0.0000 0.5000 0.5000  4 Cd 3.09, 4 Ca 3.09, 4 Cr 3.22
Cr2 0.5000 0.0000 0.5000  4 Cd 3.09, 4 Ca 3.09, 4 Cr 3.22
Cd1 0.5000 0.5000 0.0000  8 Cr 3.09, 4 Ca 3.22

energy of formation = 0.615 eV per atom
calculated volume = 87 Å³ per cell
DOS(E_F) = 3.3 states/eV/f.u.

***

Record 7
DFT (GGA-PBE) results for an optimized crystal structure of CaCr2Cd.

Lattice parameters (Å, degrees): 2.8794 4.9904 5.7763 90.00 90.00 90.00
Last column: nearest neighbours and their distance in Å.
Atoms (fractional coordinates):
Ca1 0.0000 0.0000 0.0000  2 Ca 2.88, 2 Cd 2.89, 8 Cr 3.04
Cr1 0.5000 0.5000 0.1669  1 Cr 1.93
Cr2 0.5000 0.5000 0.8331  1 Cr 1.93
Cd1 0.0000 0.0000 0.5000  2 Cd 2.88, 2 Ca 2.89

energy of formation = 0.939 eV per atom
calculated volume = 83 Å³ per cell
DOS(E_F) = 4.5 states/eV/f.u.

~~~~~

The following is a DFT calculation (PBE-GGA) of an optimized crystal structure of Pr3Sn3Ir.

Symmetry ... C2/m
- - -
Next, write out the part of the rows earlier on that starts with the line with "4.5477 4.5477" and stops after the one with "2.89,".
Lattice parameters (Å, degrees): 4.5477 4.5477 4.1951 90.00 90.00 90.00
Last column: nearest neighbours and their distance in Å.
Atoms (fractional coordinates):
Ca1 0.0000 0.0000 0.0000  8 Cr 3.09, 4 Cd 3.22
Cr1 0.0000 0.5000 0.5000  4 Cd 3.09, 4 Ca 3.09, 4 Cr 3.22
Cr2 0.5000 0.0000 0.5000  4 Cd 3.09, 4 Ca 3.09, 4 Cr 3.22
Cd1 0.5000 0.5000 0.0000  8 Cr 3.09, 4 Ca 3.22

energy of formation = 0.615 eV per atom
calculated volume = 87 Å³ per cell
DOS(E_F) = 3.3 states/eV/f.u.

***

Record 7
DFT (GGA-PBE) results for an optimized crystal structure of CaCr2Cd.

Lattice parameters (Å, degrees): 2.8794 4.9904 5.7763 90.00 90.00 90.00
Last column: nearest neighbours and their distance in Å.
Atoms (fractional coordinates):
Ca1 0.0000 0.0000 0.0000  2 Ca 2.88, 2 Cd 2.89, 8 Cr 3.04